Salutare prieteni! Din anumite cunostinte (auzite/participare), stiti ca am organizat un mega eveniment in VTC-ul nostru. Acest eveniment s-a numit Around The World. Dupa cum ii zice si numele, ne am dorit sa facem ceea ce in Romania nu s-a mai organizat pana acum, asta insemnand inconjurul lumii. Pe parcursul a 20 de rute, alaturi de anumiti colegi din VTC am organizat aceste 20 de rute sub forma de convoaie; in convoaie, conditia a fost sa participam cu paint-ul comunitatii aplicat pe orice camion. Anumite personalitati au decis sa conduca un singur camion pe toata perioada rutelor, ajungad cu acesta la o suma cuprinsa intre 20 si 24 000 km. Nu a fost deloc usoara organizarea acestui eveniment, dar cu implicarea doar a unora dintre colegii staff-ului nsotru am dus acest proiect la final. Poate va intrebati de ce nu a fost usoara o asemenea organizare. Ei bine, fiecare ruta a fost legata de cea din urma; finalul fiecarei rute era inceputul uneia noi, mai mult decat atat am decis ca marfa fiecarei rute sa fie din zona din care plecam si in cea in care ajungeam (ex. SanBuilders > Cariera). Acum, poate va ganditi ca a fost un proiect de 20 de convoaie ce s-au terminat in 2 luni, dar acest eveniment a fost conceput si pus in practica la inceputul verii si a fost terminat pe data de 2 noiembrie 2024.
(Materials data, kept here for reference)
- - -
(1)
Density functional theory data (PBE) for crystalline SrBiAsSe2 at its relaxed geometry.

Geometry as POSCAR:
```
SrBiAsSe2
1.0
5.623 0.000 0.000
0.000 5.623 0.000
0.000 0.000 5.608
Se Bi As Sr
2 1 1 1
direct
0.000 0.500 0.000
0.500 0.000 0.000
0.500 0.500 0.500
0.000 0.000 0.500
0.000 0.000 0.000
```

Values from the calculation:
energy above the most stable polymorph in this dataset	685	meV/atom

---

(2)
Density functional theory data (PBE) for crystalline SrBiAsSe2 at its relaxed geometry.

Geometry as POSCAR:
```
SrBiAsSe2
1.0
5.553 0.000 0.000
0.000 5.553 0.000
0.000 0.000 5.412
Sr As Bi Se
1 1 1 2
direct
0.500 0.500 0.500
0.000 0.000 0.500
0.000 0.000 0.000
0.500 0.000 0.000
0.000 0.500 0.000
```

Values from the calculation:
energy above the most stable polymorph in this dataset	0	meV/atom

---

(3)
Density functional theory data (PBE) for crystalline Sr6Bi2AsSe at its relaxed geometry.

Geometry as POSCAR:
```
Sr6Bi2AsSe
1.0
-1.480 1.333 7.518
2.251 -8.237 1.904
10.764 3.305 1.572
As Sr Bi Se
2 12 4 2
direct
0.500 0.000 0.500
0.000 0.500 0.000
0.369 0.952 0.748
0.180 0.185 0.436
0.131 0.452 0.752
0.869 0.548 0.248
0.631 0.048 0.252
0.320 0.685 0.064
0.824 0.806 0.937
0.680 0.315 0.936
0.820 0.815 0.564
0.176 0.194 0.063
0.324 0.694 0.437
0.676 0.306 0.563
0.960 0.094 0.752
0.040 0.906 0.248
0.460 0.406 0.252
0.540 0.594 0.748
0.000 0.500 0.500
0.500 0.000 0.000
```

---

(4)
Density functional theory data (PBE) for crystalline TaBiAsSe2 at its relaxed geometry.

Geometry as POSCAR:
```
TaBiAsSe2
1.0
-5.171 -1.253 0.495
1.148 -5.126 -0.980
0.702 -0.839 5.208
Se Bi Ta As
2 1 1 1
direct
0.500 0.000 0.000
0.000 0.500 0.000
0.000 0.000 0.000
0.500 0.500 0.500
0.000 0.000 0.500
```

Values from the calculation:
energy above the most stable polymorph in this dataset	1346	meV/atom

---

(5)
Density functional theory data (PBE) for crystalline TaBiAsSe2 at its relaxed geometry.

Geometry as POSCAR:
```
TaBiAsSe2
1.0
4.964 0.000 0.000
0.000 4.964 0.000
0.000 0.000 5.252
Se Bi Ta As
2 1 1 1
direct
0.000 0.500 0.000
0.500 0.000 0.000
0.500 0.500 0.500
0.000 0.000 0.000
0.000 0.000 0.500
```

Values from the calculation:
energy above the most stable polymorph in this dataset	0	meV/atom

---

(6)
Density functional theory data (PBE) for crystalline Tb4BiAsSe2 at its relaxed geometry.

Geometry as POSCAR:
```
Tb4BiAsSe2
1.0
-0.013 -4.040 1.185
5.699 -1.275 -4.285
6.224 1.091 3.790
Tb As Bi Se
4 1 1 2
direct
0.500 0.253 0.734
0.000 0.241 0.271
0.000 0.759 0.729
0.500 0.747 0.266
0.000 0.500 0.500
0.500 0.500 0.000
0.500 0.000 0.500
0.000 0.000 0.000
```

---

(7)
Density functional theory data (PBE) for crystalline Tb6BiAs2Se3 at its relaxed geometry.

Geometry as POSCAR:
```
Tb6BiAs2Se3
1.0
4.177 0.000 0.000
0.000 8.379 0.333
-2.089 -2.381 8.794
Tb Bi Se As
6 1 3 2
direct
0.329 0.423 0.659
0.326 0.900 0.653
0.671 0.577 0.341
0.674 0.100 0.347
0.995 0.732 0.989
0.005 0.268 0.011
0.500 0.000 0.000
0.164 0.833 0.327
0.500 0.500 0.000
0.836 0.167 0.673
- - -
(The materials data stop here)
Inca o data tinem sa le multumim celor ce s-au implicat si s-au dedicat acestui proiect.
Cu stima, Fondator
Hello, friends!
As some of you might know from hearing or participating, we organized a massive event in our VTC. This event was called Around The World. As the name suggests, we aimed to do something unprecedented in Romania, meaning a journey around the world.
Over 20 routes, together with some colleagues from our VTC, we organized these 20 routes as convoys. In each convoy, the condition was to participate with the community paint applied to any truck. Certain individuals chose to drive a single truck for the entire series of routes, reaching a total distance of between 20,000 and 24,000 km.
Organizing this event was not easy at all, but with the involvement of a few of our staff members, we managed to complete this project. You may wonder why organizing something like this was difficult. Well, each route was connected to the one before it; the end of each route marked the beginning of a new one. Additionally, we decided that the cargo for each route would be specific to the area we were departing from and the area we were arriving at (e.g., SanBuilders > Quarry).
Now, you might think it was a project of 20 convoys completed in 2 months, but in fact, this event was planned and implemented starting at the beginning of summer and was completed on November 2, 2024.
Once again, we want to thank everyone who got involved and dedicated themselves to this project.
With respect, The Founder